Tackling Tiger Traffic: How an LSU Student is Working to Improve Post-Game Traffic
October 20, 2023

Senior mathematics student Lillian Powell and her mentor Dr. James Madden are working to alleviate traffic after LSU football games.
– Photo Credit: Camellia Clifford
Chaos theory in mathematics is the study of how seemingly random or unpredictable events and patterns can actually emerge from underlying, deterministic systems. While traffic is inherently unpredictable, a team of Louisiana State University researchers is striving to make the unknown more manageable for LSU football fans.
Under LSU Mathematics professor Dr. James Madden, Powell is aiming to tackle LSU’s post-game traffic problem. She is currently doing research on road traffic management in Baton Rouge during LSU sporting events, specifically football games, and her project is funded by an LSU Discover Project Grant.
The LSU Tigers draw thousands of fans to their football games each year, with Tiger Stadium holding just over 100,000 people, creating major backups when it is time to leave the games.
In 2022, mapping and location technology company TomTom ranked Baton Rouge the 25th-worst city for traffic in the United States. TomTom cites September 10 as the worst day of traffic in Baton Rouge in 2022. On that day, LSU played Southern University, which is also located in Baton Rouge, causing unforgettable traffic for fans from both teams. Slow post-game traffic was exacerbated, and many fans were left sitting in traffic for several hours only to make it a few minutes down the road.
Powell’s own experience sitting in traffic after a game inspired her to explore researching game traffic after LSU games. “I was stuck in traffic, sitting in an Uber for an hour and a half, and through my frustration I realized that, with my previous experience doing research and what I’ve learned in the math curriculum, I could tackle a problem like this,” thought Powell.
Going into the project with a general math background, Powell did not know anything about the math behind traffic. “I just know that [traffic] sucks sometimes…” Powell said with a laugh. “The whole first semester of starting the project was about collecting information that we needed to know.”
Dr. Madden and Powell contacted LSU’s Civil Engineering department for suggestions on effective models, programs, and books for researching traffic flow, as they are currently conducting similar research on hurricane evacuation plans. This information helped Powell begin her research.
**Misplaced records of molecules**
'''
No. 1
Below is 11 unconnected molecules or ions with the total composition C13H46BF4O10 in a non-equilibrium geometry, with properties calculated with ωB97M-V/def2-TZVPD.

ORCA input file:
```
! wB97M-V def2-TZVPD RIJCOSX def2/J DEFGRID3
* xyz -1 1
B 0.29 -0.21 0.61
F 0.26 -0.90 1.75
F 0.45 -1.12 -0.44
F -0.84 0.55 0.38
F 1.44 0.54 0.76
O 3.08 -0.79 -1.31
H 2.22 -1.01 -1.68
H 2.88 -0.25 -0.54
O -2.97 3.06 1.04
H -2.63 2.45 1.70
H -3.05 3.89 1.50
O -2.73 -1.61 -0.11
H -1.82 -1.51 0.18
H -2.97 -2.50 0.15
C 1.84 5.37 1.91
C 1.42 3.99 1.65
C 0.50 3.87 0.46
O 2.56 3.14 1.58
H 2.64 5.40 2.65
H 0.99 5.91 2.32
H 2.20 5.96 1.07
H 0.78 3.64 2.46
H -0.46 4.39 0.59
H 0.24 2.82 0.31
H 0.95 4.22 -0.46
H 2.21 2.25 1.48
C 1.31 -3.90 -1.85
C 1.05 -4.24 -3.34
C -0.28 -3.78 -3.85
O 2.00 -3.54 -4.08
H 1.66 -2.90 -1.59
H 2.07 -4.61 -1.53
H 0.45 -4.18 -1.25
H 1.10 -5.32 -3.48
H -0.36 -2.73 -3.58
H -1.13 -4.29 -3.38
H -0.31 -4.02 -4.91
H 1.99 -3.68 -5.03
C 0.41 1.96 -2.80
C -1.08 1.92 -2.89
C -1.55 0.60 -3.47
O -1.52 2.20 -1.59
H 0.79 2.97 -2.67
H 0.78 1.57 -3.75
H 0.86 1.29 -2.05
H -1.30 2.71 -3.61
H -1.18 0.53 -4.50
H -2.64 0.62 -3.52
H -1.17 -0.24 -2.89
H -0.94 1.69 -1.03
C -5.25 0.36 0.48
O -4.16 0.71 -0.38
H -6.18 0.86 0.22
H -5.39 -0.72 0.55
H -5.07 0.69 1.50
H -3.58 -0.05 -0.49
C 3.03 -1.15 3.42
O 1.85 -0.41 3.70
H 3.51 -0.80 2.51
H 3.74 -1.03 4.24
H 2.84 -2.21 3.28
H 1.28 -0.54 2.94
C 1.48 -3.96 1.52
O 1.53 -5.38 1.57
H 1.30 -3.46 2.47
H 2.35 -3.55 1.00
H 0.67 -3.54 0.94
H 1.06 -5.63 2.37
C -0.79 1.42 3.75
O -1.79 1.03 2.85
H -1.07 2.23 4.42
H -0.50 0.56 4.35
H 0.00 1.93 3.19
H -1.33 0.47 2.21
*
```

Its energy is -1699.8440 a.u. The strongest force on any atom comes out at 4.019 eV/Å. The HOMO energy is -0.2446 Ha. The energy above the lowest of the compared OMol25 structures with the same formula, charge and spin is 0.0 kcal/mol. The calculation puts the frontier orbital gap at 9.1 eV.

=====

No. 2
Below is 11 unconnected molecules or ions with the total composition C13H48N14O11 in a non-equilibrium geometry, with properties calculated with ωB97M-V/def2-TZVPD.

ORCA input file:
```
! wB97M-V def2-TZVPD RIJCOSX def2/J DEFGRID3
* xyz 0 1
N 0.90 -2.64 -4.32
C 1.33 -2.10 -3.24
N 1.23 -2.84 -2.15
O 1.98 -0.83 -3.27
H 0.89 -2.17 -5.20
H 0.71 -3.71 -4.37
H 1.59 -2.36 -1.32
H 1.00 -3.80 -2.09
N -3.04 -2.56 0.95
C -1.90 -2.75 1.55
N -0.92 -2.94 0.73
O -1.72 -2.75 2.87
H -3.79 -2.56 1.70
H -3.26 -2.66 -0.04
H -0.02 -2.63 1.16
H -1.05 -2.80 -0.28
N -1.58 -2.10 -1.88
C -2.49 -3.01 -2.02
N -3.72 -2.75 -1.74
O -2.11 -4.33 -2.20
H -0.62 -2.33 -2.04
H -1.82 -1.08 -1.76
H -4.26 -3.64 -1.86
H -4.18 -1.86 -1.83
N 1.62 -2.42 1.67
C 2.35 -2.73 0.63
N 2.63 -1.71 -0.03
O 2.84 -3.93 0.34
H 1.63 -3.36 2.21
H 1.54 -1.51 2.17
H 3.52 -1.64 -0.58
H 2.22 -0.74 -0.06
N 6.47 2.17 0.49
C 5.42 2.83 0.14
N 4.35 2.07 0.17
O 5.38 4.16 -0.32
H 7.43 2.66 0.42
H 6.47 1.14 0.69
H 3.56 2.74 0.11
H 4.30 1.19 0.71
N -3.77 -0.04 0.92
C -3.54 0.74 -0.09
N -3.96 1.94 0.06
O -2.84 0.32 -1.16
'''
**The records of molecules stop here**
In the beginning stages, Powell and Dr. Madden learned things like the levels of traffic modeling — microscopic, mesoscopic and macroscopic — which are used to model traffic flow at different levels of closeness and help determine several factors of traffic, such as interaction between vehicles and behavior of traffic flow, using different equations and methodologies.
The Braze Paradox has been a significant concept in their research. Understanding the theory behind it changed Powell’s perspective on her initial ideas on how to improve traffic.
Powell lives on Ben Hur road, which connects Burbank and Nicholson and is often closed off after games and patrolled by police. She cited her annoyance with its closure, as it negatively impacts her ability to get home after games and, like many others, wondered how it could be possible that street closures benefit the post-game traffic flow.
“But it turns out there’s actually this counterintuitive theory in traffic flow called the Braze paradox. And it says that adding an extra route, which would be like opening up Ben Hur road, actually congests the road network more. Because when someone sees that there is a faster route, on Waze, for example, then everyone decides to change course, but it ends up causing more congestion. So one of the things we might look at [while researching] is, testing if they chose the most effective roads to close to make the traffic flow the best,” explained Powell.
Through their research, Powell and Madden were able to determine an equation that models all they have learned about traffic flow. That equation is Flow Rate = Density x Velocity.
“Our goal this semester is to try and use that equation to find a good solution,” said Powell.

Powell presented her research plans at the last LSU Discover Day and hopes to present her findings and insights from this semester at the next LSU Discover Day in the Spring.
– Photo Credit: Lillian Powell
LSU uses a contra-flow method after games to move traffic away from Tiger Stadium. However, this method has proven to be contentious, as many fans who live in neighboring communities struggle to get home. An article released September 19, 2023 by Tiger TV reporter Madelyn Frentress stated “The contraflow system forces all traffic to move away from campus. This means that residents who live right off campus may have to drive through the entire route of traffic just to finish less than a mile from where they started.”
The question of contra-flow’s efficiency is one Powell and her team seek to answer. The research team has been in contact with LSU PD, who has provided helpful insight into how the contra-flow method is conducted.
“After talking with LSUPD, I believe it would be interesting to compare the traffic between instances where most people stay until the end versus instances where fans trickle out starting at about halftime. This would be beneficial because the current contraflow system was designed for a ‘max flow rate’, so it is not as effective when there is a traffic trickle effect. So, we are interested in developing a system specifically for the trickling traffic case.” Powell stated.
Powell has faced many roadblocks in the process of her research. Limited budget immediately crossed out the idea of creating new roads, soliciting more police, or creating more traffic stops. Seeking information to aid in research from outside sources has been difficult, as many places are unable to provide the type of data the research team is looking for due to confidentiality and liability issues.
Right now, Powell and her team are using Waze, a navigation smartphone application, to conduct post-game traffic research, as “they provide information such as live traveler’s speed, travel time and the distance of the roadway,” according to Powell. She added that these features on Waze are helpful as they are able to “use those variables to deduce other information such as traffic density which will improve our simulation.”
The researchers focus on “traditionally heavily congested roadways” and begin collecting information about 15 minutes prior to the end of the game. Every 15 minutes for 2 hours after the game, Powell’s research team looks at congestion on Waze, which allows them to then see how congestion changes over time. Powell included that “the traffic will be different for each game since fans typically stay toward the end of the game when the score is close, so we want to collect data from every home game to be able to assess differences in every situation.
“Overall, we want to collect good data that we can then use to program models that compare the two cases of post-game-traffic and max flow rate versus trickle traffic, then we can use that information along with our formula to find optimal traffic light timing specific to each case. We will start with a small microscopic model of one intersection, but we hope to make a model within a one mile radius of Tiger Stadium.” Powell said when speaking about how she plans to go forward with her research.
Eventually, Powell hopes to translate observations from her research into explanations for post-game traffic congestion. From there, her team looks to further collaborate with other departments, like LSU PD and The Athletic Foundation (TAF), and use their research to benefit Baton Rouge traffic for many games to come.
“It’s exciting for me to try to figure out something that is so complex. Part of our process has been consolidating that larger problem [of traffic] to be smaller, like tackling one intersection because one small change can affect everything else in a huge network. So taking it piece by piece is a better, more effective method than trying to get it all at once. The process this semester of expanding will probably be full of trials and tribulations. I was really ambitious [deciding to] tackle such a large problem, and I’m far from a solution. But, hopefully, after this semester, we’ll have some more answers,” said Powell.
Story by Camellia Clifford, junior in the LSU Manship School of Mass Communication.